
Finally: Resolution of d’Alembert’s Paradox

Johan Hoffman and Claes Johnson January 20, 2006

Abstract We propose a new resolution to d’Alembert’s Paradox from 1752 com- paring the mathematical prediction of zero (resistance to motion) through an ideal (zero ) incompressible fluid, with massive ob- servations of non-zero drag in fluids with very small viscosity, such as air and water. Our resolution is fundamentally different from the accepted resolution suggested by Prandtl in 1904 based on effects of vanishing viscosity. We base our resolution on computational solution of the Euler equations describing ideal incompressible flow by noting that the zero drag potential solution considered by dAlembert, is unstable and instead a turbulent (approximate) solution develops with non-zero drag, even without boundary layer effects. We claim that our resolution is bet- ter than Prandtl’s in the case of very small viscosity.

1 Introduction

How wonderful that we have met with a paradox. Now we have some hope of making progress. (Nils Bohr)

We present a new resolution of d’Alembert’s Paradox from 1752 ([1]), which states that a body can move through an ideal (zero viscosity) incompressible fluid without any resistance (drag) to the motion. This statement is paradox- ical because all experience shows that motion through fluids with very small viscosity, such as air and water, meets a drag which is far from zero. Our res- olution is fundamentally different from the accepted resolution from 1904 by Ludwig Prandt ([2]), called the father of modern fluid , which builds on boundary layer effects from very small viscosity. We base our resolution on computational solution of the Euler equations de- scribing ideal incompressible fluid flow, which shows that the potential solution with zero drag considered by d’Alembert is unstable and instead a turbulent solution develops with non-zero drag. This solves the paradox in the origi- nal setting of d’Alembert and Euler, assuming the fluid to be ideal with zero viscosity, by showing that the zero drag potential solution cannot be realized physically, because it is unstable, and thus cannot be observed. We solve the Euler equations with a slip boundary condition at boundaries prescribing

1 the normal to be zero but letting the tangential velocity be free, which means that no boundary layers are created. Nevertheless, a turbulent solution to the Euler equations with non-zero drag develops, starting from the poten- tial solution. Our resolution is thus completely different from Prandtl’s and we claim that our resolution is more to the point for the very small met in a wide range of turbulent flows in aero- and hydro-dynamics. We also claim that our resolution is more satisfactory from a scientific point of view than Prandtl’s, because we do no suggest that a very small cause (very small viscosity) can have a large effect (change the drag), as Prandtl does, which is close to saying that anything can happen from virtually nothing, and which can be very hard to either prove or disprove. We show instead that the potential solution is unstable and that a turbulent solution develops, even without influence from boundary layer effects of very small viscosity. We do not claim that boundary layer effects never influence the global flow, e.g. by separation, but we do claim that these effects may be small for very small viscosities, which fits with the observation that the so-called skin- tends to zero as the viscosity tends to zero. To solve the Euler equations numerically we use an adaptive finite element method with automatic control of the error in the drag ([8, 4, 5, 7, 9]), and we find that the computed drag is stable under mesh refinement. In [6] we also use a skin-friction boundary condition to model the effect of turbulent boundary layers, with zero skin-friction corresponding to a slip boundary condition. Let- ting the skin friction tend to zero, we obtain good agreement with experimental drag coefficients for varying viscosity () including the so-called drag crisis occuring for very small viscosities ([10]). An outline of this note is as follows: We first recall the Euler equations for ideal incompressible fluid flow, and the stationary irrotational potentional solu- tion with zero drag considered by dAlembert. We then present computational results and point to basic features. Finally, we compare our new resolution of d’Alembert’s Paradox with that of Prandtl, and leave to the reader to judge which resolution may be closer to the truth.

2 The Euler equations

We consider the motion of an ideal incompressible fluid occupying a fixed volume Ω in R3 with boundary Γ. We want to find the fluid velocity u(x, t) and p(x, t) for all points x = (x1, x2, x3) ∈ Ω and time t > 0, assuming that the fluid flow through the boundary Γ and the initial velocity u(x, 0) are given. We assume that Γ is divided into a part Γ0 corresponding to a solid (inpenetrable) boundary, and a remaining part corresponding to inflow and outflow. The mathematical model for the motion of the fluid takes the form of the Euler equations formulated by Leonard Euler in 1755 ([11]) expressing conservation of (Newton’s second law) and conservation of , combined with

2 a boundary condition (g) and an initial condition (u0) for the velocity:

u˙ + (u · ∇)u + ∇p = 0, in Ω × I, ∇ · u = 0, in Ω × I, (1) u · n = g, on Γ × I, u(·, 0) = u0, in Ω.

Here n is the outward unit normal to Γ and the given boundary flow g satisfies RΓ g ds = 0 and g = 0 on Γ0. Requiring u · n = 0 on Γ0 corresponds to a slip boundary condition (bc) with the normal velocity vanishing, while the tangential velocity is free. This is to be compared to the no-slip bc u = 0 in Navier–Stokes equations (with non-zero viscosity ν > 0 including the term −ν∆u in the momentum equation), where also the tangential velocity is required to vanish reflecting that the fluid sticks to a solid boundary. Prandtl’s resolution of the Paradox is connected to the no-slip bc, whereas we advocate that the slip bc is more relevant, in the case of very small viscosity.

3 around a Circular Cylinder

Following d’Alembert we consider stationary (time-independent) potential flow around an (infinitely) long cylinder of diameter 1 oriented along the x3-axis and immersed in an ideal incompressible fluid filling R3 with velocity (1, 0, 0) at infinity. This models, for example, the flow of air around a tall cylindrical high- rise subject to a strong wind, or the flow of water around a pillar of a bridge in a strong current. The potential velocity is given as u = ∇φ, where φ satisfies Laplace’s equation ∆φ = 0 outside the cylinder and appropriate conditions at infinity, that is, 1 φ(x1, x2, x3) = (r + ) cos(θ), (2) r where (x1, x2) = (r cos(θ), r sin(θ)) is expressed in polar coordinates (r, θ). Us- ing standard Calculus one verifies that u is irrotational, that is ∇ × u = 0, since ∇ × ∇φ = 0, and that (u, p) solves the Euler equations, where the pressure p is 1 2 determined by Bernoulli’s Law stating that 2 |u| + p is constant for stationary irrotational flow. In Fig. 1 we plot the streamlines of u in a section of the cylin- der, which are the curves followed by fluid particles, and the pressure. We notice that the potential flow (in each section) has one separation point at the back of the cylinder, where the flow separates from the cylinder boundary. We also notice that the both velocity and pressure are symmetric in the flow direction (x1-direction), which means that the drag of the cylinder is zero; the build up of pressure in front of the cylinder is balanced by the same strong pressure behind, and thus the drag is zero. The cylinder thus seems to be ”pushed through the fluid” by the strong pressure behind, which of course is counter-intuitive and in fact is never observed in practice, where the pressure behind always is much lower than up front, with resulting non-zero drag. According to d’Alembert’s potential solution there would be no wind load on a high-rise and no on a

3 bridge pillar from a strong current, which is in contradiction with all practical experience. One can extend this result to flow around a body of arbitrary shape, since there is always a corresponding potential solution. We have thus met a scientific Paradox, which we have to resolve to save fluid mechanics as a mathematical science from collapse. But what do to? Evidently, something must be wrong with the potential solution, since it gives zero drag. But what? It cannot be Newton’s second law or mass conservation.

Figure 1: Potential solution of the Euler equations for flow past a circular cylin- der; colormap of the pressure (left) and streamlines together with a colormap of the magnitude of the velocity (right) .

Prandtl in 1904 claimed that the Paradox is due to the assumption of zero viscosity. Prandtl stated that even if the viscosity is very small, it is not equal to zero, which means that one has to consider the Navier-Stokes equations with no-slip bc (instead of Eulers equations with slip bc), for which in a thin boundary layer close a solid boundary the fluid velocity will change quickly from zero at the boundary to the free stream value outside the layer. Prandtl remarked that the potential solution does not satisfy the no-slip bc and thus should be dis- carded. The no-slip bc would generate strong vorticity (fluid rotation) transver- sal to the flow direction by ”tripping” the flow. Prandtl further claimed that because of the retardation of the flow in the boundary layer, due to an ad- verse pressure gradient combined with the no-slip boundary condition, the flow would separate away from the boundary somewhere at the back of the cylinder. Prandtl thus claims that there must be two separation points (in each section) at the back of the cylinder, one above and one below the x1-axis (although he can see only one in experiments for very small viscosity/high Reynolds number). Prandtl thus gets around the Paradox by claiming that even an arbitrarily small non-zero viscosity will substantially change the drag through boundary layer effects. Several generations of fluid dynamicists have allowed themselves

4 to be convinced by this argument (see the standard view [3]). But is it correct, for very small viscosities (large Reynolds numbers)?

4 Computational Solution of Eulers Equations

To seek understanding we go back to the roots, that is to the Euler equations with slip boundary conditions, but now we solve these equations computation- ally ([9]) instead of using analytical mathematics as d’Alembert did. We consider again the circular cylinder case now put into a channel of finite with given inflow velocity (1, 0, 0) and choose the initial velocity u0 equal to zero. We see the zero-drag irrotational potential solution quickly developing during the first time steps, but then the potential solution gradually changes into a turbulent solution with large drag and vorticity, see Fig. 2. We observe that the computed Euler solution has the following key features: (a) no boundary layer prior to separation, (b) one separation point in each section of the cylinder which oscillates up and down and (c) strong vorticity in the streamwise direc- tion. The computed drag is ≈ 1.0, which is consistent under mesh refinement, and which fits with the observation ([10]) that the drag increases from ≈ 0.5 to about 1.0 beyond the drag crisis occuring for ν ≈ 10−6. We see in Fig. 3 that the streamwise (x1) vorticity dominates the tranversal (x3) vorticity, and that the pressure is low inside tubes of vorticity in the x1-direction behind the cylinder, which creates drag.

Figure 2: Computational solution of the Euler equations for flow past a cir- cular cylinder; colormap of the pressure (left) and streamlines together with a colormap of the magnitude of the velocity (right) .

5 Figure 3: Computational solution of the Euler equations for flow past a circular cylinder; colormap of the pressure and isosurfaces for low pressure (upper left), colormap of the magnitude of total vorticity and isosurfaces for high magnitude of the individual components: x1-vorticity (upper right), x2-vorticity (lower left), x3-vorticity (lower right).

6 5 A New Resolution of dAlembert’s Paradox

We have shown by computation that the zero-drag potential solution of the Euler equations is unstable, and develops into a turbulent solution with substantial drag. This resolves the Paradox. Our resolution is fundamentally different with respect to the aspects (a)-(c) from Prandtl’s resolution based on boundary layer effects in the Navier-Stokes equations. Our resolution does not involve a very small cause with large effect as Prandtl’s does, and thus from a scientific point of view is more satisfactory.


[1] Jean-le-Rond d’Alembert, Essai d’une nouvelle th´eorie de la r´esistance des fluides, Paris, 1752, http://gallica.bnf.fr/anthologie/notices/00927.htm. [2] , On motion of fluids with very little viscosity, Third International Congress of Mathematics, Heidelberg, 1904. http://naca.larc.nasa.gov/digidoc/report/tm/52/NACA-TM-452.PDF [3] www.fluidmech.net/msc/prandtl.htm. [4] Johan Hoffman, Computation of mean drag for bluff body problems using Adaptive DNS/LES, SIAM J. Sci. Comput. 27(1), pp.184-207, 2005. [5] Johan Hoffman, Adaptive simulation of the turbulent flow past a sphere, accepted for publication in J. Mech., 2006. [6] Johan Hoffman, Computation of turbulent flow past bluff bodies using adap- tive General Galerkin methods: drag crisis and turbulent Euler solutions, in review for Computational Mechanics, 2006. [7] Johan Hoffman and Claes Johnson, A new approach to Computational Tur- bulence Modeling, Comput. Methods Appl. Mech. Engrg., in press. [8] Johan Hoffman and Claes Johnson, Computational Turbulent Incompress- ible Flow: Applied Mathematics Body and Soul Vol 4, Springer-Verlag Pub- lishing, 2006. [9] www.fenics.org [10] Tritton, D. J. Physical , 2nd ed. Oxford, Clarendon Press, 1988. [11] Leonard Euler, Principes generaux du mouvements des fluides, l’Academie de Berlin, 1755.

7 Supporting material

Below are some pictures illustrating the main points of the paper: Fig. 4 illus- trating separation in one point, Fig. 5 showing high vorticity isosurfaces just after start-up (t = 0.5), illustrating that streamwise vorticity is generated along the separation line whereas the other vorticity components are small, Fig. 6 illustrating high drag (≈ 1.0), and Fig. 7-8 illustrating 2 of the meshes used in the computations. The computational method used is presented in detail in the published (or accepted) [4, 5, 7], and the friction boundary conditions (which are im- plemented weakly through the variational form) are described in [6], which is under review. The unpublished references [5, 7, 6] are emailed to: science [email protected]

8 Figure 4: Snapshot of the velocity illustrating the single separation point, that is the tangential velocity at the cylinder surface changes sign over one finite element (there is one arrow in each node in the section). 9 Figure 5: High vorticity isosurfaces just after start-up (t = 0.5), showing that streamwise vorticity is generated along the separation line, whereas the other vorticity components are small: x1-vorticity (upper), x2-vorticity (middle), x3- vorticity (lower).

10 1.8









Here the article breaks off for molecular data.
Entry from the OMol25 dataset: a molecular structure, C18H45BeFN3O6 in a non-equilibrium geometry (wB97M-V/def2-TZVPD).

## Properties
- charge = +1
- gap between HOMO and LUMO (Ha) = 0.08138

The geometry in XYZ format:
```
74
Properties=species:S:1:pos:R:3:forces:R:3:lowdin_charge:R:1
Be 13.748853 -10.632522 10.472213 0.09 0.04 0.50 0.862
F 16.573540 -11.319989 13.634235 -0.47 0.11 -0.48 -0.382
C 10.232617 -8.280463 8.958121 0.88 -0.92 0.60 -0.049
O 10.436505 -8.769587 10.347187 0.55 -0.14 -2.64 -0.214
C 9.435028 -8.243883 11.130170 0.16 2.13 1.10 -0.278
C 9.552033 -8.589258 12.597669 -1.34 -1.19 -1.05 -0.201
N 9.892759 -9.966180 12.665433 1.82 -1.54 2.77 0.015
C 9.826226 -10.466297 14.085984 0.14 0.90 -0.76 -0.137
C 10.207936 -11.933332 14.285479 -0.47 0.86 -2.00 -0.181
O 11.304191 -12.264862 13.406820 -1.88 2.04 0.09 -0.203
C 11.756674 -13.502876 13.747587 1.53 -0.79 1.45 -0.146
H 10.193444 -7.192592 8.902391 -0.34 -0.04 0.26 0.093
H 9.403315 -8.784180 8.461502 -0.54 0.29 0.48 0.091
H 11.067467 -8.587061 8.327940 0.44 -0.06 0.49 0.076
H 8.446750 -8.438593 10.713634 -0.12 0.05 0.07 0.135
H 9.664285 -7.187984 11.273813 -0.89 0.79 -1.13 0.125
H 8.541898 -8.536420 13.003797 -0.50 0.60 0.17 0.132
H 10.115596 -7.856414 13.175097 0.73 -0.71 -0.01 0.140
H 9.290717 -10.587717 12.144531 0.05 0.26 -0.73 0.140
H 8.751618 -10.320280 14.195473 -0.29 -0.43 1.19 0.122
H 10.315703 -9.762411 14.759080 0.28 -0.03 -0.23 0.128
H 9.291397 -12.403494 13.929097 0.12 -1.01 0.00 0.122
H 10.366246 -12.241423 15.318977 0.27 0.30 0.03 0.131
H 12.091457 -13.377810 14.777332 0.16 -0.76 0.49 0.092
H 12.685302 -13.703091 13.213129 -0.40 -0.41 -0.45 0.098
H 10.984317 -14.271835 13.731055 0.13 -0.28 -0.43 0.100
C 14.971758 -14.500498 7.641600 1.37 -0.30 0.63 -0.133
O 13.642340 -14.461989 8.103372 0.55 0.22 -0.60 -0.177
C 12.884950 -15.339650 7.307867 -1.24 0.29 0.50 -0.245
C 11.398490 -15.292132 7.715891 0.50 1.35 -0.88 -0.136
N 10.672037 -13.976140 7.380526 0.65 -3.07 2.87 -0.042
C 10.569502 -13.707704 6.022711 -0.60 1.57 -2.10 -0.250
C 9.827498 -14.675872 5.114704 1.29 -1.09 -0.91 -0.232
O 8.501039 -14.273407 4.923213 0.46 0.06 0.89 -0.172
C 7.813993 -15.036146 3.982596 -2.30 -0.11 0.48 -0.122
H 15.625151 -13.945853 8.315055 -0.24 0.02 0.25 0.085
H 15.238129 -14.140502 6.647859 -0.98 0.49 -0.42 0.088
H 15.350888 -15.522016 7.612022 -0.04 -0.33 0.31 0.088
H 13.189890 -16.379031 7.429622 0.32 -0.18 0.27 0.124
H 13.072230 -15.110112 6.258893 -0.37 0.13 -0.29 0.118
H 11.295032 -15.461673 8.787643 0.11 0.08 -0.05 0.118
H 10.987849 -16.157077 7.194964 -0.51 -0.01 -0.01 0.098
H 9.747878 -14.152245 7.747958 -0.30 0.33 0.27 0.107
H 11.563476 -13.383557 5.714409 -0.08 -0.27 -0.73 0.121
H 9.901331 -12.852486 5.921551 0.32 0.63 0.08 0.124
H 9.964955 -15.689988 5.489911 -0.79 -0.37 0.55 0.107
H 10.273604 -14.828785 4.131999 0.48 0.70 -0.34 0.124
H 7.754864 -14.567155 3.000421 0.74 -0.36 -0.25 0.095
H 6.778244 -15.021110 4.321863 -0.34 0.36 -0.01 0.085

0 0 5 10 15 20 25 30

Figure 6: Time series of the drag coefficient cD for a G2 solution to the Euler equations (for the mesh with 153 440 nodes).

11 Figure 7: Section through one of the meshes used for the computations: 74 247 mesh points.

12 Figure 8: Section through one of the meshes used for the computations: 153 440 mesh points.